Despite the downpour that canceled out the 4th of July fireworks and the red crayon that I found melted in my dryer, this was one of the best weekends I’ve had in a long time. At the top of the list is the fact that I got to sleep in past 10:00 a.m. three days in a row. I honestly can’t remember the last time that has happened. I’m sure I’ll still be just as tired when I have to wake up early tomorrow morning, but it was a pretty amazing feeling while it lasted.
Saturday morning hubby and I got up and started in on the kids’ room. We have been wanting to pull up the carpet in there for while and figured the 3-day weekend was a good time to do it. We started in knowing that there were wood floors underneath, but not having any idea what kind of shape they were in. As it turned out, they weren’t great but weren’t completely horrible either. We did have to scrub the entire floor on our hands and knees to remove some black gunk, but once we got it up, the floor looked pretty good.
These calculated molecules were left in the piece by mistake:
+++
Below is C31H36N2O2 in the gas phase in a non-equilibrium geometry, with properties calculated with ωB97M-V with the def2-TZVPD basis set.

```
71
Properties=species:S:1:pos:R:3
C -4.061 3.340 -1.579
C -3.525 3.403 -0.165
C -2.337 4.340 -0.047
C -4.640 3.880 0.752
O -3.197 2.053 0.314
C -2.063 1.461 -0.111
O -1.510 1.665 -1.182
C -1.555 0.479 0.912
N -1.945 -0.822 0.393
C -1.978 -1.815 1.226
C -2.263 -3.146 0.674
C -2.143 -4.311 1.447
C -2.348 -5.552 0.855
C -2.747 -5.630 -0.488
C -2.931 -4.459 -1.246
C -2.673 -3.220 -0.666
C -1.669 -1.674 2.689
C -0.523 -2.293 3.210
C -0.143 -2.045 4.530
C -0.940 -1.239 5.350
C -2.120 -0.676 4.853
C -2.480 -0.884 3.520
C -0.116 0.586 1.164
C 0.878 0.169 0.064
C 2.196 0.598 0.269
C 3.210 0.278 -0.626
C 2.960 -0.647 -1.641
C 1.680 -1.187 -1.785
C 0.625 -0.739 -0.979
N 0.263 1.844 1.816
C -0.272 2.005 3.151
C 0.659 2.788 4.068
C 1.121 4.105 3.440
C 1.676 3.853 2.038
C 0.715 3.051 1.143
H -5.027 2.817 -1.577
H -4.205 4.364 -1.949
H -3.365 2.814 -2.240
H -2.004 4.395 1.000
H -1.514 4.026 -0.703
H -2.657 5.348 -0.349
H -4.366 3.753 1.807
H -4.811 4.949 0.570
H -5.570 3.330 0.546
H -2.103 0.679 1.850
H -1.893 -4.231 2.504
H -2.198 -6.454 1.446
H -2.953 -6.597 -0.939
H -3.273 -4.503 -2.277
H -2.788 -2.286 -1.219
H 0.055 -2.964 2.566
H 0.765 -2.511 4.917
H -0.661 -1.076 6.390
H -2.767 -0.074 5.491
H -3.389 -0.434 3.112
H 0.016 -0.149 1.992
H 2.414 1.210 1.149
H 4.182 0.758 -0.509
H 3.756 -0.940 -2.325
H 1.481 -1.969 -2.519
H -0.389 -1.099 -1.161
H -0.411 1.009 3.589
H -1.271 2.485 3.105
H 1.538 2.165 4.286
H 0.150 2.966 5.021
H 0.284 4.818 3.396
H 1.910 4.548 4.063
H 1.935 4.797 1.545
H 2.609 3.278 2.123
H 1.225 2.803 0.201
H -0.145 3.696 0.881
```

max |F|: 0.051 hartree/bohr
LUMO energy: 0.26 eV
total energy: -39806.2825 eV
energy relative to the best compared isomer or geometry (same formula, charge and spin): 62.5 kcal/mol
frontier orbital gap: 8.1 eV
SMILES: CC(C)(C)OC(=O)[C@@H](N=C(c1ccccc1)c1ccccc1)[C@@H](c1ccccc1)N1CCCCC1

----------

This record from OMol25 describes a molecular structure, C17H26I2N4OPtSi2. The level of theory is the ωB97M-V functional and the def2-TZVPD basis.

Each line ends with the natural charge from an NBO analysis.
CARTESIAN COORDINATES (ANGSTROEM)
Pt  -0.12  0.21  0.20  0.6090
I  -3.27  -0.34  1.64  0.1982
C  -2.93  -1.78  0.15  -0.7226
I  -1.76  -0.99  -1.46  0.3764
H  -3.86  -2.14  -0.25  0.2317
H  -2.31  -2.56  0.57  0.2548
C  -1.19  5.06  -0.05  -1.1285
Si  -1.39  3.21  0.21  1.7242
C  -1.59  3.03  2.08  -1.1369
C  -2.92  2.72  -0.76  -1.1377
C  0.16  2.23  -0.32  -1.1954
C  1.17  2.34  0.78  0.3643
C  2.08  3.30  1.20  -0.3079
C  2.87  3.01  2.30  -0.1281
C  2.76  1.78  2.94  -0.2678
C  1.85  0.85  2.48  0.0740
N  1.08  1.17  1.44  -0.4923
Si  0.91  2.53  -2.03  1.7043
C  -0.21  1.86  -3.38  -1.1108
C  2.61  1.73  -2.14  -1.1363
C  1.15  4.36  -2.40  -1.1191
H  -1.99  5.56  0.52  0.2388
H  -1.30  5.36  -1.09  0.2314
H  -0.24  5.45  0.32  0.2289
H  -2.62  3.27  2.37  0.2394
+++
We rearranged the furniture a bit, re-bunked the bunk beds, and put down a small area rug to cover a couple bad spots in the floor. I still need to work on the arrangement of the wall decorations, but their room looks much better than it did. The kids are loving it so far. They’ve been playing in there instead of their playroom which is very unusual.
After we finished the floor, we cleaned ourselves up, dropped the kids off at Grandma’s, and headed out on the town for a well-deserved date night. Since we never really got to celebrate our anniversary last month, we went out for a nice dinner at Jess & Jim’s Steakhouse, then I made hubby take me to see Eclipse. We don’t get out by ourselves often enough and it was really nice to have quiet (kid-free) evening together.
Sunday we headed over to my mom’s to have dinner with the family and then planned on going to see fireworks at Corporate Woods. We got there and set up our chairs just in time for it to start sprinkling. It seemed like the rain wouldn’t be too bad, so we decided to wait it out in hopes that the firework show would still go on. My kids were so excited for fireworks that I really hated to disappoint them. We stuck it out much longer than most folks, but when it started pouring and I discovered that the water was soaking through my camera bag, we decided it was time to go.
Unrelated to this entry: data records:
........
Entry 1:
C44H51N5O4S5Ta as an isolated structure. Source: OMol25; level of theory: the ωB97M-V functional and the def2-TZVPD basis.

Summary:
- Orbital gap: 3.13 eV
- Net charge: +1
- Energy relative to the best compared isomer or geometry (same formula, charge and spin): 11.9 kcal per mole
- Multiplicity: 1
- Energy: -4329.7865 a.u.

The geometry in XYZ format:
```
110
C44H51N5O4S5Ta | OMol25 | the ωB97M-V functional and the def2-TZVPD basis
Ta 0.637 0.668 -0.813
S 2.152 1.946 0.747
S 1.691 1.264 -2.994
S -0.709 -1.560 0.419
S -1.193 -3.664 -8.103
S -1.335 1.407 1.054
O 0.046 -4.259 -8.538
O -2.316 -4.550 -7.903
O -1.504 -2.349 -8.638
O 1.914 -0.547 -0.594
N 0.193 3.531 -0.858
N -0.225 -1.766 -2.502
N -1.309 1.481 -2.615
N -0.806 0.777 3.588
N -0.729 -1.952 3.044
C 1.268 3.356 1.314
C -0.011 0.328 -6.489
C 0.650 -2.667 -4.589
C 1.999 -2.874 3.153
C -2.620 0.961 -2.213
C 0.460 0.939 -4.211
C -1.915 -2.710 -5.646
C 3.279 -3.263 3.506
C -2.205 2.101 5.051
C -0.353 5.093 1.006
C -0.425 -2.241 -3.817
C -4.219 1.924 6.951
C 2.429 -5.369 4.255
C 3.500 -4.516 4.050
C -3.486 1.714 4.679
C 1.213 4.228 -1.657
C 3.745 -1.127 -1.998
C -0.833 -3.144 -6.367
C -1.348 2.960 -2.716
C -0.971 -1.502 4.396
C -1.805 0.682 -4.933
C -1.154 3.713 -1.403
C -1.364 0.341 -6.201
C 1.149 -4.983 3.895
C 0.334 4.000 0.496
C -1.711 -2.272 -4.351
C -0.941 0.334 2.328
C -1.109 2.128 4.015
C -0.123 5.536 2.298
C -4.491 1.628 5.625
C -2.945 2.312 7.326
C -1.938 2.397 6.381
C -0.315 -0.143 4.591
C 0.899 0.616 -5.490
C 1.517 3.822 2.600
C 0.926 -3.738 3.325
C -0.904 0.995 -3.922
C 0.826 4.914 3.091
C -0.772 -1.056 2.042
C 4.028 -0.775 0.472
C 3.085 -1.299 -0.622
C 0.448 -3.139 -5.876
C 2.733 -2.777 -0.365
C -0.458 -3.356 2.854
H 3.605 -3.318 -0.011
H 4.113 -0.110 -2.111
H 0.319 0.075 -7.484
H -0.199 2.578 4.427
H 1.257 -3.511 -6.482
H 1.645 -2.654 -4.174
H 0.323 -5.662 4.045
H -3.425 1.417 -2.797
H -1.364 4.771 -1.613
H -1.872 3.364 -0.658
H -0.676 6.386 2.667
H -1.420 2.701 3.138
H -3.695 1.493 3.642
H 1.309 3.766 -2.638
H 2.175 4.142 -1.153
H -1.059 -1.935 -1.944
H 3.570 -0.875 1.452
H 2.259 3.323 3.204
H 1.960 0.590 -5.678
H 1.830 -1.889 2.739
H -0.545 -2.226 5.090
H 0.776 -0.243 4.510
H -2.051 -1.428 4.583
H -2.073 0.074 -6.967
H -2.732 2.558 8.354
H -2.895 -2.746 -6.091
H -1.072 5.612 0.392
H -2.867 0.691 -4.751
H -5.001 1.852 7.689
H 2.380 -3.259 -1.275
H 4.960 -1.330 0.450
H -0.947 2.712 6.678
H 4.236 0.278 0.294
H -2.312 3.264 -3.140
H 4.571 -1.822 -2.105
H 2.591 -6.336 4.702
H -1.207 -3.938 3.397
H -0.576 3.276 -3.420
H 0.572 -2.221 -2.063
H -2.559 -1.971 -3.756
H -2.647 -0.117 -2.363
H 0.964 5.289 -1.778
H 1.952 -2.849 0.391
H 4.107 -2.590 3.348
H 4.502 -4.826 4.307
H -0.559 -3.592 1.791
H -2.804 1.181 -1.161
H 3.023 -1.326 -2.787
H -0.557 0.256 5.575
H -5.486 1.345 5.322
H 1.022 5.278 4.088
```

Entry 2:
A 4-piece molecular cluster, C18H22BrN4O4S3 overall. Source: OMol25; level of theory: the ωB97M-V functional and the def2-TZVPD basis.

Summary:
- Orbital gap: 8.34 eV
........
By the time we got back to the cars, we were all absolutely soaked. Fortunately, we had a basket of clean, dry clothes at my mom’s house due the the crayon in the dryer incident I mentioned earlier so we scrounged and managed to find something for all of us to wear. Once everyone was dry, we got the kids all settled down and my sister, my mom, and I headed to the theater to watch Eclipse again (Yes, it was that good!).
== Calculated molecules that have nothing to do with the article ==
┌──
The following is a quantum chemistry calculation of a cluster of 11 separate species, C52H106N5O11 in total in a non-equilibrium geometry, from the OMol25 dataset.

```
174
Properties=species:S:1:pos:R:3:forces:R:3:lowdin_charge:R:1
C 4.308 -4.104 2.741 -0.4 0.0 -0.8 -0.111
C 4.177 -4.242 1.201 -0.1 0.2 0.7 -0.234
C 4.668 -3.022 0.391 0.1 -0.6 0.2 -0.215
C 5.924 -2.344 0.969 -0.3 0.5 -1.2 -0.196
C 6.266 -1.063 0.149 -0.1 -0.5 0.1 -0.197
C 6.568 0.168 1.022 -0.1 -0.3 -0.5 -0.171
C 5.336 0.805 1.663 -0.2 -0.7 0.7 -0.102
N 4.566 1.653 0.759 1.6 -0.7 -1.2 -0.006
C 4.672 1.706 -0.575 -0.9 0.8 0.2 -0.058
N 3.802 2.546 -1.106 -0.1 0.0 0.1 0.186
C 3.108 3.064 -0.059 1.1 -0.9 -1.0 -0.286
N 2.114 3.931 -0.115 0.2 -0.1 0.4 0.149
C 1.477 4.561 -1.284 -1.3 1.0 -0.7 -0.238
N 1.991 4.233 -2.559 0.5 -1.1 -0.1 -0.103
C 1.491 2.960 -3.092 0.5 0.1 -0.1 -0.112
N 3.600 2.532 1.085 -1.1 1.0 0.9 0.025
C 3.171 2.834 2.440 -0.5 -0.3 0.5 -0.090
C 1.798 2.227 2.815 0.0 0.6 1.0 -0.153
C 0.670 3.287 2.969 -0.5 -0.7 -0.5 -0.195
C -0.662 2.777 2.359 0.0 0.6 0.3 -0.202
C -1.504 1.967 3.365 0.5 -0.4 0.0 -0.191
C -1.272 0.440 3.281 -0.5 0.6 0.0 -0.200
C -2.024 -0.241 2.136 -0.1 -0.4 0.4 -0.195
C -3.550 -0.324 2.380 -0.1 0.0 -0.2 -0.194
C -4.099 -1.754 2.221 -0.2 -0.1 -0.6 -0.152
C -4.718 -2.014 0.827 0.1 -0.4 0.8 -0.231
O -3.965 -1.377 -0.182 -0.2 0.5 0.1 -0.193
C -4.768 -0.797 -1.190 0.0 -0.1 -0.5 -0.102
H 3.478 -4.618 3.220 0.2 0.0 0.2 0.045
H 4.248 -3.055 3.042 0.0 -0.1 0.2 0.067
H 5.229 -4.548 3.113 0.0 0.2 0.1 0.073
H 4.689 -5.158 0.897 0.1 0.1 -0.1 0.109
H 3.117 -4.415 0.993 0.2 0.1 -0.3 0.057
H 4.910 -3.394 -0.611 0.0 0.2 0.0 0.115
H 3.858 -2.300 0.236 0.0 0.1 0.3 0.103
H 6.742 -3.052 0.828 0.1 0.0 0.6 0.122
H 5.796 -2.052 2.011 0.1 -0.4 0.1 0.075
H 7.129 -1.269 -0.489 0.0 0.1 0.1 0.117
H 5.430 -0.901 -0.540 0.1 0.2 0.1 0.088
H 7.194 -0.172 1.850 0.0 0.1 0.0 0.097
H 7.164 0.884 0.450 -0.1 0.2 0.2 0.120
H 4.677 -0.010 1.993 0.0 0.1 0.0 0.138
H 5.630 1.331 2.572 -0.1 0.4 -0.3 0.122
H 5.372 1.147 -1.168 0.1 -0.2 0.2 0.140
H 1.723 4.188 0.777 -0.2 0.0 -0.1 0.109
H 1.521 5.645 -1.156 0.2 -0.1 0.1 0.122
H 0.399 4.322 -1.233 0.1 -0.2 0.4 0.127
H 1.805 4.941 -3.249 0.0 0.5 0.4 0.081
H 2.231 2.554 -3.786 -0.1 0.0 0.1 0.076
H 1.389 2.239 -2.281 -0.2 0.0 -0.1 0.066
H 0.550 3.075 -3.641 -0.1 -0.1 0.3 0.084
H 3.114 3.919 2.572 0.2 0.0 -0.3 0.133
H 3.926 2.502 3.149 0.1 -0.1 -0.3 0.118
H 1.494 1.410 2.159 0.2 0.2 -0.2 0.109
H 1.920 1.783 3.808 0.0 -0.2 -0.2 0.116
H 0.479 3.476 4.026 0.2 0.2 0.0 0.109
H 0.954 4.254 2.536 0.0 -0.1 0.0 0.089
H -1.257 3.634 2.028 0.1 0.0 0.0 0.106
H -0.420 2.204 1.457 -0.2 -0.1 0.0 0.099
H -2.561 2.226 3.267 0.0 -0.2 -0.1 0.102
H -1.225 2.260 4.385 -0.1 0.2 -0.1 0.106
H -1.614 0.024 4.234 0.1 -0.2 -0.1 0.115
H -0.197 0.250 3.209 0.0 -0.1 0.0 0.095
H -1.825 0.249 1.177 0.1 0.0 0.1 0.109
H -1.648 -1.267 2.073 0.0 0.4 -0.2 0.066
H -3.821 0.065 3.368 0.2 -0.1 0.0 0.100
H -4.065 0.323 1.660 0.0 0.0 0.1 0.097
H -3.311 -2.497 2.355 0.1 0.2 0.3 0.093
└──
== Here the article continues ==
Since the kids were sleeping by the time we got back from the movie, we left them to sleep at Grandma’s again and hubby and enjoyed sleeping in again on Monday morning.
We picked the kids up Monday afternoon, took my mom to pick her car up from the shop, stopped for some ice cream, then came home and started mourning the end of a really excellent weekend. It’s going to be really hard to jump back into our normal routine in the morning.